Input:
~~~
Entry from the OMol25 dataset: 2 unconnected molecules or ions with the total composition C6H14FNP at a distorted geometry (ωB97M-V/def2-TZVPD).

- Strongest force on any atom: 3.7 eV/A
- HOMO energy (alpha / beta): -11.546 / -14.046 eV
- Orbital gap (alpha / beta): 7.17 / 7.86 eV
- E: -19931.265 eV

Geometry as ORCA input:
```
! wB97M-V def2-TZVPD RIJCOSX def2/J DEFGRID3
* xyz 1 3
C -3.133 -0.229 0.184
C -1.723 1.686 -0.324
C 1.801 0.584 0.331
C 1.621 -0.944 0.380
C 0.522 1.310 0.685
C 1.809 -1.648 -0.984
N -0.551 0.869 -0.291
F 0.801 -0.922 -1.824
P -2.128 -1.240 0.975
H -4.176 -0.128 -0.010
H -1.842 2.294 0.498
H -2.289 1.747 -1.210
H 2.713 0.797 0.905
H 2.184 1.073 -0.631
H 0.642 -1.237 0.717
H 2.354 -1.401 1.018
H 0.170 0.913 1.670
H 0.654 2.474 0.620
H 2.759 -1.390 -1.402
H 1.472 -2.645 -1.128
H -0.806 -0.216 0.123
H -0.075 0.644 -1.198
H -2.777 -2.392 0.897
*
```

=====

Entry from the OMol25 dataset: a molecular structure, C22H38O5Sc (ωB97M-V/def2-TZVPD).

- Strongest force on any atom: 0.6 eV/A
- Energy above the lowest of the compared OMol25 structures with the same formula, charge and spin: 4.57 kJ/mol
- HOMO energy: -18.518 eV
- Orbital gap: 8.75 eV
- E: -54345.206 eV

Geometry as ORCA input:
```
! wB97M-V def2-TZVPD RIJCOSX def2/J DEFGRID3
* xyz 3 1
Sc 0.028 -0.386 0.032
C 0.765 -3.027 1.737
C 1.941 -2.102 1.842
O 2.025 -1.309 0.632
C 2.827 -1.845 -0.450
C 1.937 -2.482 -1.490
O 0.743 -1.661 -1.568
C -0.131 -1.938 -2.697
C -1.523 -2.043 -2.152
O -1.695 -0.942 -1.222
C -3.075 -0.800 -0.795
C -3.087 0.120 0.405
O -1.923 -0.119 1.225
C -2.085 -1.033 2.336
C -1.634 -2.397 1.904
O -0.340 -2.206 1.267
H 0.530 -3.449 2.712
H 0.918 -3.841 1.030
H 2.871 -2.645 2.002
H 1.806 -1.394 2.657
H 3.545 -2.564 -0.059
H 3.373 -1.007 -0.866
H 1.634 -3.498 -1.238
H 2.437 -2.486 -2.457
H 0.159 -2.874 -3.171
H -0.025 -1.126 -3.414
H -1.684 -2.975 -1.610
H -2.253 -1.961 -2.957
H -3.460 -1.793 -0.563
H -3.660 -0.377 -1.611
H -3.991 -0.029 0.992
H -3.041 1.161 0.105
H -3.120 -1.037 2.674
H -1.456 -0.652 3.139
H -2.305 -2.857 1.181
H -1.538 -3.062 2.759
C 1.598 1.593 2.600
C 0.974 1.687 1.225
C 1.767 1.489 0.067
C 3.268 1.471 0.173
C 1.149 1.493 -1.200
C 1.963 1.260 -2.452
C -0.183 1.977 -1.327
C -0.771 2.196 -2.695
C -0.867 2.449 -0.195
C -2.071 3.336 -0.387
C -0.336 2.204 1.090
C -1.100 2.627 2.312
H 2.478 0.960 2.614
H 0.905 1.210 3.347
H 1.908 2.584 2.941
H 3.768 0.961 -0.642
H 3.640 1.067 1.107
H 3.594 2.515 0.124
H 2.355 2.212 -2.820
H 1.376 0.832 -3.259
H 2.815 0.609 -2.287
H -0.412 3.152 -3.088
H -1.856 2.243 -2.681
H -0.477 1.433 -3.410
H -2.826 2.916 -1.051
H -1.735 4.261 -0.864
H -2.554 3.615 0.542
H -0.883 3.679 2.524
H -0.824 2.065 3.198
H -2.175 2.538 2.181
*
```

=====

Entry from the OMol25 dataset: a gas-phase ion, C4H3O2 (charge +1) at a distorted geometry (ωB97M-V/def2-TZVPD).

- Strongest force on any atom: 6.1 eV/A
- Energy above the lowest of the compared OMol25 structures with the same formula, charge and spin: 599.20 kJ/mol
- HOMO energy: -16.977 eV
- Orbital gap: 10.57 eV
- E: -8275.406 eV

Geometry as ORCA input:
```
! wB97M-V def2-TZVPD RIJCOSX def2/J DEFGRID3
* xyz 1 1
C 0.726 -0.133 0.008
C -1.588 -0.467 -0.016
C -0.527 0.095 -0.807
C -0.525 0.002 0.838
O 1.805 0.998 -0.030
O -1.244 0.931 0.070
H 1.208 -1.104 -0.054
H -2.546 -0.946 -0.062
H 2.690 0.623 0.052
*
```

=====

Entry from the OMol25 dataset: a molecular structure, C51H44AsBiCl3N5O7S6 at a distorted geometry (ωB97M-V/def2-TZVPD).

- Strongest force on any atom: 2.0 eV/A
- Energy above the lowest of the compared OMol25 structures with the same formula, charge and spin: 24.33 kJ/mol
- HOMO energy: -1.816 eV
- Orbital gap: 5.41 eV
- E: -244646.001 eV

Geometry as ORCA input:
```
! wB97M-V def2-TZVPD RIJCOSX def2/J DEFGRID3
* xyz -2 1
Bi -0.384 1.639 -0.650
S -1.590 0.491 3.890
As -0.615 1.841 2.581
S -1.974 2.611 0.996
S 0.972 0.922 1.269
S 0.082 3.368 3.848
C 2.536 -2.580 6.892
C 2.370 -2.429 5.409
C 3.437 -2.669 4.549
C 3.291 -2.496 3.187
~~~

Work order:
Could you echo the notes above word for word?

Solution:
Entry from the OMol25 dataset: 2 unconnected molecules or ions with the total composition C6H14FNP at a distorted geometry (ωB97M-V/def2-TZVPD).

- Strongest force on any atom: 3.7 eV/A
- HOMO energy (alpha / beta): -11.546 / -14.046 eV
- Orbital gap (alpha / beta): 7.17 / 7.86 eV
- E: -19931.265 eV

Geometry as ORCA input:
```
! wB97M-V def2-TZVPD RIJCOSX def2/J DEFGRID3
* xyz 1 3
C -3.133 -0.229 0.184
C -1.723 1.686 -0.324
C 1.801 0.584 0.331
C 1.621 -0.944 0.380
C 0.522 1.310 0.685
C 1.809 -1.648 -0.984
N -0.551 0.869 -0.291
F 0.801 -0.922 -1.824
P -2.128 -1.240 0.975
H -4.176 -0.128 -0.010
H -1.842 2.294 0.498
H -2.289 1.747 -1.210
H 2.713 0.797 0.905
H 2.184 1.073 -0.631
H 0.642 -1.237 0.717
H 2.354 -1.401 1.018
H 0.170 0.913 1.670
H 0.654 2.474 0.620
H 2.759 -1.390 -1.402
H 1.472 -2.645 -1.128
H -0.806 -0.216 0.123
H -0.075 0.644 -1.198
H -2.777 -2.392 0.897
*
```

=====

Entry from the OMol25 dataset: a molecular structure, C22H38O5Sc (ωB97M-V/def2-TZVPD).

- Strongest force on any atom: 0.6 eV/A
- Energy above the lowest of the compared OMol25 structures with the same formula, charge and spin: 4.57 kJ/mol
- HOMO energy: -18.518 eV
- Orbital gap: 8.75 eV
- E: -54345.206 eV

Geometry as ORCA input:
```
! wB97M-V def2-TZVPD RIJCOSX def2/J DEFGRID3
* xyz 3 1
Sc 0.028 -0.386 0.032
C 0.765 -3.027 1.737
C 1.941 -2.102 1.842
O 2.025 -1.309 0.632
C 2.827 -1.845 -0.450
C 1.937 -2.482 -1.490
O 0.743 -1.661 -1.568
C -0.131 -1.938 -2.697
C -1.523 -2.043 -2.152
O -1.695 -0.942 -1.222
C -3.075 -0.800 -0.795
C -3.087 0.120 0.405
O -1.923 -0.119 1.225
C -2.085 -1.033 2.336
C -1.634 -2.397 1.904
O -0.340 -2.206 1.267
H 0.530 -3.449 2.712
H 0.918 -3.841 1.030
H 2.871 -2.645 2.002
H 1.806 -1.394 2.657
H 3.545 -2.564 -0.059
H 3.373 -1.007 -0.866
H 1.634 -3.498 -1.238
H 2.437 -2.486 -2.457
H 0.159 -2.874 -3.171
H -0.025 -1.126 -3.414
H -1.684 -2.975 -1.610
H -2.253 -1.961 -2.957
H -3.460 -1.793 -0.563
H -3.660 -0.377 -1.611
H -3.991 -0.029 0.992
H -3.041 1.161 0.105
H -3.120 -1.037 2.674
H -1.456 -0.652 3.139
H -2.305 -2.857 1.181
H -1.538 -3.062 2.759
C 1.598 1.593 2.600
C 0.974 1.687 1.225
C 1.767 1.489 0.067
C 3.268 1.471 0.173
C 1.149 1.493 -1.200
C 1.963 1.260 -2.452
C -0.183 1.977 -1.327
C -0.771 2.196 -2.695
C -0.867 2.449 -0.195
C -2.071 3.336 -0.387
C -0.336 2.204 1.090
C -1.100 2.627 2.312
H 2.478 0.960 2.614
H 0.905 1.210 3.347
H 1.908 2.584 2.941
H 3.768 0.961 -0.642
H 3.640 1.067 1.107
H 3.594 2.515 0.124
H 2.355 2.212 -2.820
H 1.376 0.832 -3.259
H 2.815 0.609 -2.287
H -0.412 3.152 -3.088
H -1.856 2.243 -2.681
H -0.477 1.433 -3.410
H -2.826 2.916 -1.051
H -1.735 4.261 -0.864
H -2.554 3.615 0.542
H -0.883 3.679 2.524
H -0.824 2.065 3.198
H -2.175 2.538 2.181
*
```

=====

Entry from the OMol25 dataset: a gas-phase ion, C4H3O2 (charge +1) at a distorted geometry (ωB97M-V/def2-TZVPD).

- Strongest force on any atom: 6.1 eV/A
- Energy above the lowest of the compared OMol25 structures with the same formula, charge and spin: 599.20 kJ/mol
- HOMO energy: -16.977 eV
- Orbital gap: 10.57 eV
- E: -8275.406 eV

Geometry as ORCA input:
```
! wB97M-V def2-TZVPD RIJCOSX def2/J DEFGRID3
* xyz 1 1
C 0.726 -0.133 0.008
C -1.588 -0.467 -0.016
C -0.527 0.095 -0.807
C -0.525 0.002 0.838
O 1.805 0.998 -0.030
O -1.244 0.931 0.070
H 1.208 -1.104 -0.054
H -2.546 -0.946 -0.062
H 2.690 0.623 0.052
*
```

=====

Entry from the OMol25 dataset: a molecular structure, C51H44AsBiCl3N5O7S6 at a distorted geometry (ωB97M-V/def2-TZVPD).

- Strongest force on any atom: 2.0 eV/A
- Energy above the lowest of the compared OMol25 structures with the same formula, charge and spin: 24.33 kJ/mol
- HOMO energy: -1.816 eV
- Orbital gap: 5.41 eV
- E: -244646.001 eV

Geometry as ORCA input:
```
! wB97M-V def2-TZVPD RIJCOSX def2/J DEFGRID3
* xyz -2 1
Bi -0.384 1.639 -0.650
S -1.590 0.491 3.890
As -0.615 1.841 2.581
S -1.974 2.611 0.996
S 0.972 0.922 1.269
S 0.082 3.368 3.848
C 2.536 -2.580 6.892
C 2.370 -2.429 5.409
C 3.437 -2.669 4.549
C 3.291 -2.496 3.187